Thursday, December 18, 2014

LbA: Goodnight, Sweet Girl

“So, is it serious?” Aaron casually asked, taking a sip of his Bud Light.

I looked down at my hands, unsure of how to answer.  Unsure because I really wasn’t sure, and also because a part of me deep down in my secret desires spot didn’t want to give Aaron a reason to not ask me out again.

We were out for the drink that Aaron owed me... my prize, I suppose, for winning his game of I Spy.  Both of our schedules had conflicted, so we weren’t able to get together until a couple weeks after Halloween.  He had asked me what I had done, and I had just finished telling him about the night with Matt, Sarah, and Chase.  And I had mentioned how we were dressed as the Big Bang characters.  And how Chase is someone I’ve been seeing.

I glanced back up at Aaron, his expression unreadable.  “Well, we’ve just been dating.  He’s not my boyfriend.”

I saw a small smile play at his lips.  “I see.”

┌──
# 1
Computed, not measured: TlVAuCl6 after structural relaxation at the PBE level of DFT.

Cell and atoms, written as POSCAR:
```
TlVAuCl6
1.0
8.474 -0.108 2.576
4.010 5.945 0.900
2.376 -0.613 6.483
Cl Tl Au V
6 1 1 1
Direct
0.586 0.324 0.513 Cl
0.374 0.996 0.667 Cl
0.031 0.525 0.850 Cl
0.584 0.142 0.114 Cl
0.291 0.693 0.319 Cl
0.072 0.372 0.409 Cl
0.002 0.884 0.118 Tl
0.726 0.692 0.541 Au
0.335 0.373 0.469 V
```

Values from the calculation:
V: 32.35 Å³ per atom
Formation energy (no corrections): -0.88 eV/atom
Calculated density: 3.793 g/cm3
Total magnetization: 1.0 μB/f.u.
Space-group type: P1 (1)

---

# 2
Computed, not measured: UAu2Cl8 after structural relaxation at the PBE level of DFT.

Cell and atoms, written as POSCAR:
```
UAu2Cl8
1.0
6.633 0.000 2.914
-1.288 6.598 2.931
0.010 0.460 8.982
Cl U Au
8 1 2
Direct
0.090 0.410 0.820 Cl
0.339 0.970 0.804 Cl
0.622 0.536 0.756 Cl
0.858 0.970 0.804 Cl
0.661 0.030 0.196 Cl
0.142 0.030 0.196 Cl
0.910 0.590 0.180 Cl
0.378 0.464 0.244 Cl
0.000 0.000 0.000 U
0.234 0.428 0.532 Au
0.766 0.572 0.468 Au
```

Values from the calculation:
V: 34.75 Å³ per atom
Formation energy (no corrections): -0.92 eV/atom
Calculated density: 3.978 g/cm3
Total magnetization: 0.1 μB/f.u.
Space-group type: C2/m (12)


(1)
Computed, not measured: crystalline Ta2CrPb at its relaxed geometry at the PBE level of DFT.

Unit cell a=5.7074 b=8.9243 c=2.9810 alpha=90.00 beta=101.17 gamma=90.00
Last column: nearest neighbours and their distance in Å.
Sites, in units of the cell vectors:
Ta: 0.2500 0.2500 0.0000  4 Ta 2.85-2.98, 4 Cr 2.90-3.17, 4 Pb 2.90-3.17
Ta: 0.2500 0.7500 0.0000  4 Ta 2.85-2.98, 4 Cr 2.90-3.17, 4 Pb 2.90-3.17
Ta: 0.7500 0.2500 0.0000  4 Ta 2.85-2.98, 4 Cr 2.90-3.17, 4 Pb 2.90-3.17
Ta: 0.7500 0.7500 0.0000  4 Ta 2.85-2.98, 4 Cr 2.90-3.17, 4 Pb 2.90-3.17
Cr: 0.0000 0.0000 0.5000  2 Pb 2.85, 8 Ta 2.90-3.17, 2 Cr 2.98
Cr: 0.5000 0.5000 0.5000  2 Pb 2.85, 8 Ta 2.90-3.17, 2 Cr 2.98
Pb: 0.0000 0.5000 0.5000  2 Cr 2.85, 8 Ta 2.90-3.17, 2 Pb 2.98
Pb: 0.5000 0.0000 0.5000  2 Cr 2.85, 8 Ta 2.90-3.17, 2 Pb 2.98

Results
**VASP energy**: -8.682 eV/atom
**Energy relative to the elements**: 0.5773 eV per atom

=====

(2)
Computed, not measured: crystalline Li2ErAsSe4 at its relaxed geometry at the PBE level of DFT.

Unit cell a=6.8375 b=3.9601 c=6.8765 alpha=90.00 beta=109.44 gamma=90.00
Last column: nearest neighbours and their distance in Å.
Sites, in units of the cell vectors:
Li: 0.0000 0.0000 0.0000  6 Se 2.76-2.78
Li: 0.0000 0.5000 0.5000  6 Se 2.85-2.86
Er: 0.5000 0.0000 0.5000  6 Se 2.83-2.84
As: 0.5000 0.5000 0.0000  6 Se 2.74-2.75
Se: 0.2508 0.5000 0.2404  1 As 2.74, 3 Li 2.78-2.86, 2 Er 2.83
Se: 0.2555 0.0000 0.7627  2 As 2.75, 3 Li 2.76-2.85, 1 Er 2.84
Se: 0.7445 0.0000 0.2373  2 As 2.75, 3 Li 2.76-2.85, 1 Er 2.84
Se: 0.7492 0.5000 0.7596  1 As 2.74, 3 Li 2.78-2.86, 2 Er 2.83

Results
**VASP energy**: -4.470 eV/atom
**ΔE_f (raw)**: -8.78 eV/f.u.

=====

(3)
└──

I had only agreed to a beer with him, but we were now each on our third.  Talking to him was natural, with playful, flirty banter intertwining the genuine “getting to know you” questions.  We had been at the bar for a couple of hours.  Or three.  He had picked me up from my apartment.  When we got to the bar, he had purposely sat himself facing the door, so he would always be aware of our surroundings and who was in and out.  Apparently it was a police thing.  Probably for the first time in a couple of months, I felt relaxed and protected, and neither Luke, nor Victoria, crossed my mind. 

Every once in awhile, when it was appropriate, he would reach out and lightly touch my hand, when making a point or when teasing. 

“Are you hungry?” he asked.

“I am!” I giggled.  “Plus, all this beer is catching up to me, and if we don’t get something solid in me, I’m not going to last much longer.”

He smirked, “That’s what she said.”

I rolled my eyes, but laughed along with him.  Seeing as how we were at a sports bar, we ordered a couple of appetizers.  Specifically, mozz sticks, potato skins, and a fried veggie basket.  “What are you doing for Thanksgiving?” I asked him.

“Oh, that is in two weeks already.  This year has flown.  Nothing big.  I’m actually the on-call detective , so I’ll probably go to my parents’ house, but don’t anticipate actually being able to stay the whole time.”

“So are you on-call just for your unit?”

“No.  When on-call we have to cover anything that comes in.  We try to slap a Band-Aid on it, if possible, until normal hours, but covering the full investigation if the situation calls for it.  So I could be responding to property crimes, homicides, domestics, child crimes, just to name a few.  It kind of mixes it up a little for me, which I like.”

“When you’re on call, are you usually busy?”

“It’s really hit or miss.  It just depends on how naughty people are being.” He half-smiled at me and winked.

I blushed.  Something about his winking at me seemed... flirty.  Though the topic definitely wasn’t.

The waitress arrived then, with our appetizers.  Every time she had helped us, she had been more than friendly to Aaron, all but ignoring me.  And every time she focused on him, he managed to not awkwardly turn the attention back to me.  She asked, while batting her eyelashes and staring directly at Aaron, “Does everything look good?”  Her body was even positioned more facing him. 

He smiled kindly at her, and then looked at me.  “I think it looks fine, what do you think, Aleah?”

His eyes never left mine as I responded, “Absolutely delicious.”  The waitress turned her head towards me, but looked annoyed that I even existed right then.

“I swear,” I muttered after she walked away.  “You’d think I was invisible!”

“Well, when you’re hanging out with someone with as killer hair as mine, you get used to kind of falling into the background.”  He looked completely serious when he said it, but I could tell by the glint in his eyes, that he was teasing.

“I see,” I knowingly said, while obviously eyeing his hair.  “I mean, it is pretty nice... but I think you’ll know how it feels when we have a male server sometime.”  And it was my turn to wink at him.

He leaned forwards, finishing the bite he had in his mouth, looking at me intensely.  “So, are you trying to ask me out on a second date?”

I blushed, not realizing my words when they had come out previously, and also at the fact that he considered this a date.  My heart did a little leap of joy.  I was worried he really had just viewed this as hanging out with a friend, having won a “bet.”  “Oh wow, um, I wasn’t trying to... I guess I didn’t mean my words like that.”

I saw a look of disappointment flash across his face.  But before I could identify if he was really hurt or it was a joke, it was gone.

So I rushed on, “I mean, oh gosh. I didn’t mean it like that.  I mean, I’m having a really good time, I just don’t normally... I’m not really that bold.”

He laughed, smiling at me.  “Aleah, slow down.  I was just kidding with you.  Partially.  I was joking about you asking.  I wasn’t about this being a date.”  I bit my lip at his modest confidence, yet how he was able to reassure me without even knowing the waves of insecurity that were lapping at my confidence.  My confidence usually shown through in normal conversation, whether it was genuine or forced.  But apparently not when I was taken aback by a handsome suitor.

He was studying me, as he took another bite.  He raised an eyebrow, and I could tell he was waiting for me to say something.  “A date?  Well, I can’t say that I’m disappointed by that.” 

We continued talking throughout the eating, and before I knew it, it was almost midnight.  He drove me back to my apartment and got out, walking me to the door.  “Have your keys this time?”

“Eh, you’ve got jokes I see there.”

He bumped his shoulder into mine.  “Detective by day, stand-up comedian by night.”

I shook my head and chuckled at him.  “I had a really great time tonight,” I shyly looked up at him.

“Aleah, I really did, too.  Would it be okay if I took you out again sometime soon?”

I nodded my head, my smile splitting my face.  “It would.”

He placed his finger tips lightly on my chin and nodded my head up towards his.  He leaned down, at the last minute moving to the side and his lips grazing my cheek.  He stood back up to his full height and smiled at me.  I swear my heart had stopped, yet was pounding out of my chest at the same time.  His smile, a simple smile that said a thousand words.  “Goodnight, sweet girl.”

And as I watched him turn and walk back towards his car, I breathed out, just realizing I had been holding my breath.


  1. Chase is very sweet and everything.. but I'm so Team Aaron right now. It's cute how shy Aleah can be, I'm sure Aaron thought so too.

  2. TEAM AARON! I agree with L., Chase is sweet, but she definitely has more chemistry with Aaron. And I like a man in uniform, sooooo... LOL

  3. Aleah seems to have more natural conversation with Aaron. I like them together. Chase is nice, but it doesn't seem to flow like this date did.

    1. I agree they do have great conversation. And that would be an accurate description of Chase, up to this point.

  4. Goodnight, sweet girl. How insanely cute is that?! Love!!

    1. random and off topic, but did you delete your blog? :(

    2. It is so cute, right? I had a guy that called me that, and it made me swoon.

  5. Fabulous post! I'm leaning towards Aaron, but I feel that I need to learn more about Chase before I choose sides. Cannot wait for more!! Aleah has a lot to deal with in her life.

    1. I agree. Maybe we all need a Chase and an Aaron in our lives hahaha

    2. Thanks, both of you! She does have a lot to deal with. But it keeps it interesting, right?

      Um, Zu, I would definitely vote yes!! haha

  6. Hoooot. My god, I want an Aaron of my own!

  7. Did you borrow that line from "Beautiful Girls"? I love that movie. mum

    1. I didn't. I've never seen it. Or even heard of it! (is that bad?) However, since you're telling me you love it, I may have to watch it now.

      I actually have an ex who called me that. Aaron is a mixture of several different guys I've dated. Now, where that guy got that line, could have been from that movie, I don't know!
